Financial markets worry about inflation. Fears of future price increases can cause stocks, bonds, and currencies to gyrate wildly. But measured inflation rests on a conceptually fragile foundation, and one that is highly likely to be redefined by the government agencies responsible for the calculations within the next few years. Investors should augment their inflation outlook with an understanding of the impact of global bond managers on the markets. The momentum that results from their changing outlook has become one of the major factors in bond market movements.
Poor Overburdened Inflation
Inflation is a central and crucial concept in financial markets as well as economic life. However, the role it plays is far greater than it deserves. Our most cherished notions of modern finance and investment involve the concept of inflation, yet this tired and worn statistic is increasingly being challenged. We review some of the inflation “truths” below:
1. Inflationary Expectations Drive Monetary Policy
One of the dominant tenets of economic analysis is that inflation is a direct function of economic growth, particularly as the economy approaches full capacity. Stronger demand for goods and services, it is said, give suppliers the opportunity to raise prices. Following this belief, central bankers attempt to achieve their objective of sound money by regulating economic activity through control of short term interest rates. For example, in early 1994, the US Federal Reserve made a “pre-emptive strike” against future inflation, raising short term interest rates by 3% over the next twelve months. Conversely, low measured inflation rates later allowed the Bank of Canada to pursue a very stimulative monetary policy.
2. The “Real” Rate Concept
=====
# 1
Structure and theoretical powder diffraction line list of V3FeH7 (a crystal structure in Alexandria, relaxed with PBE; Cu Kα X-rays).
Kinematic intensities with the Lorentz-polarization factor, no thermal factor.

Structure:
abc: 5.822 5.757 5.012
angles: 90.00 124.42 90.00
Space group Cm (No. 8)
Asymmetric unit:
V 0.000 0.000 0.000 x2
V 0.000 0.246 0.513 x4
Fe 0.003 0.500 0.011 x2
H 0.125 0.256 0.252 x4
H 0.126 0.500 0.770 x2
H 0.363 0.500 0.247 x2
H 0.373 0.236 0.769 x4
H 0.374 0.000 0.242 x2

Peak list (8 most intense, 2θ = 10–90°, most intense first)
2.361 Å, intensity 100.0, (0 2 1); 2.047 Å, intensity 38.9, (2 2 -1); 2.401 Å, intensity 35.1, (2 0 0); 2.067 Å, intensity 20.1, (0 0 2); 1.464 Å, intensity 13.5, (2 2 1); 1.445 Å, intensity 12.7, (2 2 -3); 1.245 Å, intensity 7.1, (4 2 -1); 1.243 Å, intensity 7.0, (0 2 3)

# 2
Structure and theoretical powder diffraction line list of V2FeH4 (a crystal structure in Alexandria, relaxed with PBE; Cu Kα X-rays).
Kinematic intensities with the Lorentz-polarization factor, no thermal factor.

Structure:
abc: 5.279 5.279 7.440
angles: 90.00 90.00 90.00
Space group I4_1/amd (No. 141, origin choice 2)
Asymmetric unit:
V 0.000 0.000 0.000 x8
Fe 0.000 0.250 0.375 x4
H 0.000 0.012 0.755 x16

Peak list (8 most intense, 2θ = 10–90°, most intense first)
2.250 Å, intensity 100.0, (2 1 1); 2.636 Å, intensity 50.3, (2 0 0); 2.245 Å, intensity 49.7, (1 0 3); 2.153 Å, intensity 46.6, (2 0 2); 1.436 Å, intensity 31.6, (3 2 1); 1.317 Å, intensity 23.6, (2 2 4); 1.320 Å, intensity 11.9, (4 0 0); 1.523 Å, intensity 10.9, (3 1 2)

# 3
Structure and theoretical powder diffraction line list of YVFe11H (a crystal structure in Alexandria, relaxed with PBE; Cu Kα X-rays).
Kinematic intensities with the Lorentz-polarization factor, no thermal factor.

Structure:
abc: 4.716 8.420 8.445
angles: 90.00 90.00 90.00
Space group Imm2 (No. 44)
Asymmetric unit:
Y 0.000 0.000 0.000 x2
V 0.000 0.000 0.626 x2
Fe 0.000 0.000 0.358 x2
Fe 0.000 0.276 0.494 x4
Fe 0.000 0.359 0.994 x4
Fe 0.000 0.500 0.266 x2
Fe 0.000 0.500 0.724 x2
Fe 0.250 0.249 0.746 x8
H 0.000 0.500 0.499 x2

Peak list (8 most intense, 2θ = 10–90°, most intense first)
2.095 Å, intensity 100.0, (1 3 2); 2.058 Å, intensity 78.5, (2 0 2); 1.849 Å, intensity 49.0, (2 2 2); 2.414 Å, intensity 38.0, (1 3 0); 2.111 Å, intensity 36.4, (0 0 4); 2.105 Å, intensity 33.5, (0 4 0); 1.886 Å, intensity 25.8, (0 4 2); 2.945 Å, intensity 21.2, (1 1 2)

# 4
Structure and theoretical powder diffraction line list of Fe3HW (a crystal structure in Alexandria, relaxed with PBE; Cu Kα X-rays).
Kinematic intensities with the Lorentz-polarization factor, no thermal factor.

Structure:
abc: 4.938 4.939 5.187
angles: 105.26 105.34 116.46
Space group P1 (No. 1)
Asymmetric unit:
Fe 0.000 0.000 0.000 x1
Fe 0.002 0.001 0.511 x1
Fe 0.068 0.572 0.667 x1
Fe 0.075 0.578 0.161 x1
Fe 0.481 0.481 0.998 x1
Fe 0.573 0.079 0.664 x1
H 0.792 0.543 0.854 x1
H 0.811 0.563 0.336 x1
W 0.465 0.507 0.501 x1
=====
**Here the article continues**
The most common method of attempting to understand long term interest rates is to view these rates as made up of two components: “real” interest rates, plus the rate of projected inflation. A cursory reading of post-war financial market history showed many observers in the mid-1970s, when inflation began to be problematic, that the level of rates could be disaggregated into the measured inflation rate, and a relatively stable component they called “real” since it was determined by the demand and supply of capital for “real” economic factors, like capital spending. In this theoretical model of rate determination, “real” rates fluctuate between 2% and 4%, and average 3% over the economic cycle. Nominal interest rates should be the sum of anticipated inflation and the “real” component.
3. Corporate Finance
In corporate financial theory, although more loosely used in practice, business plans for expansion are always taken after assessing the cost of capital. If financing a project is more expensive than the expected return, no businessman would undertake the enterprise without support from the appropriate government purse. Both sides of the business decision embody assumptions about future inflation rates – their ability to price the product in the future and the cost of capital – which is a function of interest rates, and thus, linked directly to inflation.
4. Currency Levels
In this era of globalization, exchange rates are ever more important in determining flows and prices of goods and services. Although many forecasters have given up the attempt to project currency values, those who do most often rely on the concept of Purchasing Power Parity. The fundamental notion here is that relative changes in the rates of inflation between various countries should be a primary determinant of exchange rate movements.
5. Stock Markets
Perhaps less directly, and less obviously, stock prices also reflect expectations concerning future inflation, as a key component of the discount rates applied to expected earnings and dividends in the future.
[long-quote]Bond managers and government policies can play a larger role in conceptually fragile inflation than investors realize.[/long-quote]
What is this Thing Called Inflation?
Obviously then, a crucial job for financial market participants is understanding the factors which determine current, and much more importantly, future rates of inflation. But, what is this thing called inflation? Inflation is generally measured as the rate of change in a constructed price index over a one year period. In the major economies, the typical procedure is to construct a “basket” purchased by the “average” consumer and adjust the basket every ten years or so.
There are substantial difficulties in defining these variables, with some arbitrary assumptions made along the way, but generally CPI measures are no worse than most economic estimates. Some of the conceptual difficulties in creating the basket include how to adjust for quality improvements, the changing composition of purchases, assumptions regarding rent or housing, and the role of taxes.
(Crystal structures that have nothing to do with the text)
........
No. 1
Mn3NiO8: calculated powder XRD pattern (λ = 1.5418 Å (Cu Kα)), based on a crystal structure in Alexandria, relaxed with GGA+U.
No peak broadening, texture or thermal motion is included.

```
data_Mn3NiO8
_chemical_formula_sum 'Mn3 Ni1 O8'
_space_group_name_H-M_alt 'P 1'
_space_group_IT_number 1
_space_group_name_Hall 'P 1'
_cell_length_a 5.927
_cell_length_b 5.927
_cell_length_c 5.927
_cell_angle_alpha 58.70
_cell_angle_beta 58.70
_cell_angle_gamma 58.70
loop_
_atom_site_label
_atom_site_fract_x
_atom_site_fract_y
_atom_site_fract_z
_atom_site_occupancy
Mn1 0.000 0.500 0.500 1
Mn2 0.500 0.000 0.500 1
Mn3 0.500 0.500 0.000 1
Ni1 0.000 0.000 0.000 1
O1 0.229 0.229 0.737 1
O2 0.229 0.737 0.229 1
O3 0.263 0.771 0.771 1
O4 0.268 0.268 0.268 1
O5 0.732 0.732 0.732 1
O6 0.737 0.229 0.229 1
O7 0.771 0.263 0.771 1
O8 0.771 0.771 0.263 1
```

The 6 most intense peaks (10 to 80 degrees two-theta), sorted by position:
- d 4.886, intensity 100
- d 2.480, intensity 30
- d 2.074, intensity 43
- d 1.609, intensity 15
- d 1.453, intensity 12
- d 1.392, intensity 13

No. 2
Mn2NiO14: calculated powder XRD pattern (λ = 1.5418 Å (Cu Kα)), based on a crystal structure in Alexandria, relaxed with GGA+U.
No peak broadening, texture or thermal motion is included.

```
data_Mn2NiO14
_chemical_formula_sum 'Mn2 Ni1 O14'
_space_group_name_H-M_alt 'P 1'
_space_group_IT_number 1
_space_group_name_Hall 'P 1'
_cell_length_a 7.868
_cell_length_b 7.868
_cell_length_c 4.452
_cell_angle_alpha 90.00
_cell_angle_beta 90.00
_cell_angle_gamma 120.00
loop_
_atom_site_label
_atom_site_fract_x
_atom_site_fract_y
_atom_site_fract_z
_atom_site_occupancy
Mn1 0.000 0.000 0.000 1
Mn2 0.333 0.667 0.496 1
Ni1 0.667 0.333 0.199 1
O1 0.000 0.000 0.364 1
O2 0.113 0.226 0.888 1
O3 0.113 0.887 0.888 1
O4 0.220 0.441 0.384 1
O5 0.220 0.780 0.384 1
O6 0.333 0.667 0.861 1
O7 0.469 0.234 0.490 1
O8 0.559 0.780 0.384 1
O9 0.567 0.135 0.908 1
O10 0.567 0.433 0.908 1
O11 0.766 0.234 0.490 1
O12 0.766 0.531 0.490 1
O13 0.774 0.887 0.888 1
O14 0.865 0.433 0.908 1
```

The 6 most intense peaks (10 to 80 degrees two-theta), sorted by position:
- d 3.934, intensity 100
- d 3.727, intensity 45
- d 2.706, intensity 29
- d 2.229, intensity 21
- d 1.740, intensity 18
- d 1.684, intensity 15

No. 3
MnNiO4: calculated powder XRD pattern (λ = 1.5418 Å (Cu Kα)), based on a crystal structure in Alexandria, relaxed with GGA+U.
No peak broadening, texture or thermal motion is included.

```
data_MnNiO4
_chemical_formula_sum 'Mn1 Ni1 O4'
_space_group_name_H-M_alt 'P 1'
_space_group_IT_number 1
_space_group_name_Hall 'P 1'
_cell_length_a 5.296
_cell_length_b 5.296
_cell_length_c 5.296
_cell_angle_alpha 138.16
_cell_angle_beta 138.16
_cell_angle_gamma 60.66
loop_
_atom_site_label
_atom_site_fract_x
_atom_site_fract_y
_atom_site_fract_z
_atom_site_occupancy
Mn1 0.000 0.000 0.000 1
Ni1 0.250 0.750 0.500 1
O1 0.040 0.540 0.500 1
O2 0.209 0.209 0.000 1
O3 0.460 0.960 0.500 1
O4 0.791 0.791 0.000 1
```
........
Enter Politics
There is also a political dimension to the inflation puzzle, which can have a big impact on how it develops. If economists believed the Consumer Price Indexes are overstated, future government spending (and therefore future deficits) would be much lower if inflation was actually lower the current measurement techniques suggest, since cost of living increases would have been built into all social security programs. A reduction of 1% per year in projected spending on social security would basically eliminate the likelihood of bankruptcy in the old age support program. Thus there is substantial political motivation to take the easy route to spending control by redefining the index.
The conclusion is inescapable – too many aspects of our financial and economic world depend on a conceptually fragile foundation, and one that is highly likely to be redefined as time passes.
Faced with these uncertainties, investors should be working to supplement their traditional approach to interest rate forecasting with assessment of the variables which most importantly affect global portfolio flows.
Drivers of Portfolio Decisions: Global Bond Managers
A research consultant I once dealt with has demonstrated that price momentum plays a major role in the performance of world bond markets. His explanation for this phenomenon is that the traditional economic approach to interest rate forecasting has proven too imprecise to serve as the dominant tool. As it seems probable that inflation will be redefined to suit its political masters, investors should be placing more emphasis on the factors most likely to influence the activities of global portfolio managers. This means increasing the weight given to political, currency, and economic policy variables in consideration of whether, and when, the trends extant in the fixed income markets are about to change. Expected inflation will continue to play a role, albeit less important, in a forecasting process.